



Hi, I'm trying to deploy an app with SVN and Vlad the deployer. Vlad and its dependencies are installed and seem OK.

I'm trying the following:

rake prod vlad:update

Being my config/deploy.rb file:

Data records, as found in the file =
- - -
Record 1
Co3TeO8 | GGA+U | relaxed

Lattice parameters (Å, degrees): 6.031 6.107 10.219 73.99 89.76 60.52
Fractional positions:
Co1 0.000 0.000 0.000
Co2 0.009 0.994 0.500
Co3 0.259 0.998 0.252
Co4 0.500 0.003 0.999
Co5 0.512 0.989 0.501
Co6 0.746 0.993 0.749
Te1 0.252 0.984 0.751
Te2 0.757 0.005 0.250
O1 0.105 0.805 0.366
O2 0.107 0.794 0.876
O3 0.135 0.197 0.879
O4 0.182 0.154 0.394
O5 0.327 0.837 0.111
O6 0.331 0.780 0.621
O7 0.392 0.185 0.632
O8 0.410 0.198 0.143
O9 0.590 0.787 0.862
O10 0.632 0.796 0.371
O11 0.674 0.166 0.889
O12 0.685 0.207 0.380
O13 0.843 0.827 0.605
O14 0.869 0.800 0.119
O15 0.890 0.204 0.123
O16 0.915 0.189 0.628

Properties
E_form	-1190	meV per atom
symmetry	P1 (1)
E_tot	-5.66	eV per atom
size of the total moment	0.103	μB per atom

Record 2
Co4TeO8 | GGA+U | relaxed

Lattice parameters (Å, degrees): 5.937 5.945 6.004 92.57 117.30 118.67
Fractional positions:
Co1 0.000 0.000 0.000
Co2 0.000 0.000 0.500
Co3 0.000 0.500 0.000
Co4 0.500 0.500 0.000
Te1 0.500 0.500 0.500
O1 0.044 0.255 0.260
O2 0.062 0.248 0.810
O3 0.498 0.709 0.759
O4 0.499 0.734 0.282
O5 0.501 0.266 0.718
O6 0.502 0.291 0.241
O7 0.938 0.752 0.190
O8 0.956 0.745 0.740

Properties
E_form	-1310	meV per atom
symmetry	P-1 (2)
E above lowest polymorph	0	meV per atom
E_tot	-5.86	eV per atom
size of the total moment	0.000	μB per atom

Record 3
Co3TeO8 | GGA+U | relaxed

Lattice parameters (Å, degrees): 5.896 6.031 8.708 90.44 90.22 90.17
Fractional positions:
Co1 0.000 0.000 0.000
Co2 0.001 0.499 0.500
Co3 0.251 0.751 0.750
Co4 0.496 0.003 0.003
Co5 0.503 0.496 0.502
Co6 0.749 0.254 0.236
Te1 0.248 0.244 0.256
Te2 0.751 0.754 0.749
O1 0.005 0.539 0.739
O2 0.006 0.470 0.274
O3 0.008 0.962 0.747
O4 0.234 0.220 0.027
O5 0.243 0.801 0.963
O6 0.261 0.276 0.483
O7 0.265 0.694 0.533
O8 0.489 0.026 0.238
O9 0.490 0.467 0.260
O10 0.494 0.964 0.758
O11 0.497 0.540 0.751
O12 0.736 0.312 0.491
O13 0.739 0.725 0.524
O14 0.750 0.202 0.022
O15 0.762 0.785 0.974
O16 0.998 0.035 0.252

Properties
E_form	-1165	meV per atom
symmetry	P1 (1)
E_tot	-5.64	eV per atom
size of the total moment	0.083	μB per atom

Record 4
Co3TeO8 | GGA+U | relaxed

Lattice parameters (Å, degrees): 5.694 5.694 9.038 90.00 90.00 120.00
Fractional positions:
Co1 0.171 0.341 0.000
Co2 0.171 0.829 0.000
Co3 0.341 0.171 0.500
Co4 0.659 0.829 0.000
Co5 0.829 0.171 0.500
Co6 0.829 0.659 0.500
Te1 0.333 0.667 0.277
Te2 0.667 0.333 0.777
O1 0.000 0.000 0.086
O2 0.000 0.000 0.586
O3 0.032 0.516 0.122
O4 0.161 0.322 0.379
O5 0.161 0.839 0.379
O6 0.322 0.161 0.879
O7 0.333 0.667 0.897
O8 0.484 0.516 0.122
O9 0.484 0.968 0.122
O10 0.516 0.032 0.622
O11 0.516 0.484 0.622
O12 0.667 0.333 0.397
O13 0.678 0.839 0.379
O14 0.839 0.161 0.879
O15 0.839 0.678 0.879
O16 0.968 0.484 0.622

Properties
E_form	-1033	meV per atom
symmetry	P6_3mc (186)
E_tot	-5.50	eV per atom
size of the total moment	0.917	μB per atom

Record 5
Co3TeO8 | GGA+U | relaxed

Lattice parameters (Å, degrees): 5.861 5.861 5.861 58.28 58.28 58.28
- - -

task :prod do
set :application, "xxx"
set :deploy_timestamped, "false"
set :user,       "username"
set :scm_user,   "scmusername"
set :repository, ""
set :domain,     ""
set :deploy_to,  "/home/username/deployments/app"
puts "Production deployment to #{deploy_to}"

I have done "rake prod vlad:setup" already, that's fine. But when calling "rake prod vlad:update", I get the following

A    ...file
Exported revision 14.
ln: creating symbolic link `/home/username/deployments/drupalgestalt/releases/20100503164225/public/system' to     `/home/username/deployments/drupalgestalt/shared/system': No such file or directory
rake aborted!
execution failed with status 1: ssh ln -s 
/home/username/deployments/app/releases/20100503164225/log && ln -s 
/home/username/deployments/app/releases/20100503164225/public/system && ln -s     

Apparently it complains when creating the ln, but permissions are all set up fine.

Am I doing anything wrong? I'm just starting with Vlad on the assumption it was super-easy to set up. Had played a bit with cap in the past, and I do like Vlad idea.


It looks like a path error. Try changing your :deploy_to line to the correct path. I'm fairly certain that "/home/username/" is not it.


more specifically... it looks like you're missing the "shared" directory that its trying to symlink to. Do you have the following directory set up?


And yes, "username" is a problem too. You'll need to update the following line:

set :deploy_to,  "/home/username/deployments/app"


set :deploy_to,  "/home/#{username}/deployments/#{application}"
Taryn East
Hi, thanks for the reply.I actually solved by using the namespace vlad to define the tasks. It looked like it wasn't taken. In theory shouldn't matter though.I created those common directories that Vlad requests - but nothing worked out until I changed the conf to sth like:namespace :vlad do ... desc "Full deployment cycle" remote_task :deploy => [ :update, :start_app ] ...endThat is defining the task deploy into the namespace vlad - that was needed, and define it as a remote_task.PS: I changed my username by "username", just not to disclose too much info. That is fine.
Ah cool - yeah, that makes sense. I wasn't sure if it was purposeful or a copy-paste error... :)namespaces huh? I'll have to think about that as I'm having some issues with cap-deploying on dreamhost. Might be worth a try...
Taryn East